Give back only the last part of the calculation results further below, starting with the line that has "2.741", please.

-- begin --
1.
A molecular structure, C29H29N3RuSi at a distorted geometry, computed with ωB97M-V/def2-TZVPD.

For the HOMO energy (alpha / beta), the calculation gives -9.89 / -11.18 eV. Its multiplicity is 6. For the orbital gap (alpha / beta), the calculation gives 6.8 / 5.4 eV. As for the total charge: +1.

Each line ends with the Mulliken spin population.
Cartesian coordinates (Å):
C: 1.660 -2.496 2.806  -0.040
C: 0.362 -1.911 2.741  0.270
C: -0.262 -2.322 1.510  0.015
H: -0.115 -1.327 3.524  0.009
C: 0.686 -3.172 0.801  -0.044
C: 1.874 -3.252 1.606  0.284
H: 2.750 -3.847 1.373  0.014
H: 2.369 -2.395 3.624  0.003
H: -1.285 -2.128 1.205  0.013
H: 0.502 -3.711 -0.120  0.012
Ru: 1.367 -1.174 0.771  3.075
C: 0.540 -0.862 -0.992  -0.045
H: 0.421 -1.683 -1.715  0.036
H: 0.995 0.017 -1.471  0.011
H: -0.467 -0.625 -0.593  0.041
Si: -1.914 1.058 -2.448  0.009
C: -2.827 2.435 -1.613  0.002
C: -3.355 2.229 -0.323  0.004
H: -3.296 1.241 0.150  -0.001
C: -3.949 3.299 0.360  -0.001
H: -4.387 3.135 1.348  0.000
C: -3.986 4.571 -0.228  0.001
H: -4.442 5.407 0.311  0.000
C: -3.437 4.770 -1.502  0.000
H: -3.485 5.756 -1.962  0.000
C: -2.830 3.710 -2.188  0.001
H: -2.361 3.851 -3.164  0.000
C: -3.134 -0.286 -2.824  0.001
C: -4.502 0.044 -2.901  0.000
H: -4.815 1.091 -2.809  0.000
C: -5.464 -0.964 -3.062  0.000
H: -6.521 -0.693 -3.107  0.000
C: -5.072 -2.304 -3.149  0.000
H: -5.826 -3.088 -3.235  0.000
C: -3.710 -2.630 -3.131  0.000
H: -3.407 -3.673 -3.230  0.000
C: -2.739 -1.630 -2.982  0.001
H: -1.673 -1.878 -2.971  -0.003
H: -1.082 0.786 -1.265  0.004
H: -0.971 1.341 -3.602  0.001
C: 6.823 -2.385 0.506  0.086
C: 5.662 -2.901 -0.086  -0.034
C: 4.457 -2.202 0.007  0.132
C: 4.409 -0.980 0.717  -0.096
C: 5.580 -0.456 1.285  0.088
C: 6.786 -1.155 1.185  -0.039
N: 3.200 -0.294 0.984  0.388
N: 3.361 0.832 1.694  0.424
C: 2.163 1.436 1.991  -0.023
C: 2.113 2.693 2.639  0.099
C: 0.882 3.221 2.977  0.008
C: -0.280 2.456 2.720  0.090
C: -0.163 1.220 2.106  0.012
N: 1.030 0.753 1.660  0.193
H: 7.753 -2.955 0.449  0.005
H: 5.692 -3.853 -0.620  -0.001
H: 3.538 -2.612 -0.426  -0.034
H: 5.508 0.482 1.841  0.020
H: 7.690 -0.743 1.635  -0.002
H: 3.083 3.152 2.815  0.000
H: 0.808 4.212 3.435  0.000
H: -1.272 2.814 2.998  0.006
H: -1.034 0.578 1.944  0.003


2.
A molecular structure, C52H47CdN4O3S4, computed with ωB97M-V/def2-TZVPD.

For the HOMO energy, the calculation gives -10.58 eV. Its multiplicity is 1. For the orbital gap, the calculation gives 8.2 eV. As for the total charge: +1.

Each line ends with the Mulliken charge.
Cartesian coordinates (Å):
Cd: 0.697 -2.317 0.925  3.037
C: 6.486 4.329 -2.244  -1.518
C: 5.295 3.597 -1.692  1.020
C: 5.317 3.048 -0.412  -0.997
C: 4.223 2.359 0.090  -0.576
C: 3.087 2.222 -0.691  0.030
C: 3.048 2.747 -1.975  -0.625
C: 4.146 3.436 -2.464  -0.823
S: 1.684 1.294 -0.088  1.888
O: 2.227 0.478 1.050  -1.467
C: 0.739 2.655 0.635  1.019
C: 1.346 3.506 1.590  -1.112
C: 0.657 4.547 2.121  -1.261
C: -0.666 4.828 1.698  0.621
C: -1.376 5.934 2.220  -0.989
C: -2.630 6.233 1.772  -0.821
C: -3.224 5.438 0.770  -0.825
C: -2.564 4.357 0.258  -0.868
C: -1.269 4.007 0.720  1.357
C: -0.557 2.867 0.216  -0.033
C: -1.217 2.144 -0.921  -1.006
C: -1.032 2.701 -2.223  0.930
C: -0.096 3.745 -2.458  -1.306
C: 0.091 4.246 -3.712  -0.373
C: -0.651 3.748 -4.806  -0.815
C: -1.564 2.754 -4.613  -0.962
C: -1.774 2.206 -3.322  0.775
C: -2.721 1.179 -3.113  -1.300
C: -2.873 0.633 -1.876  -1.412
C: -2.117 1.107 -0.775  1.440
S: -2.208 -0.064 0.573  -0.230
O: -0.892 -0.780 0.466  0.043
C: -2.185 0.924 2.048  0.789
C: -3.167 1.887 2.244  -0.530
C: -3.225 2.552 3.455  -0.560
C: -2.327 2.257 4.480  0.949
C: -2.408 2.982 5.793  -1.683
C: -1.374 1.265 4.265  -0.964
C: -1.299 0.587 3.058  -0.379
H: 7.232 4.512 -1.471  0.366
H: 6.192 5.289 -2.668  0.366
H: 6.961 3.753 -3.040  0.308
H: 6.203 3.164 0.200  0.309
H: 4.245 1.917 1.080  0.531
H: 2.162 2.625 -2.587  0.684
H: 4.114 3.848 -3.465  0.432
H: 2.368 3.328 1.892  0.431
H: 1.123 5.197 2.852  0.388
-- stop --

C: 0.362 -1.911 2.741  0.270
C: -0.262 -2.322 1.510  0.015
H: -0.115 -1.327 3.524  0.009
C: 0.686 -3.172 0.801  -0.044
C: 1.874 -3.252 1.606  0.284
H: 2.750 -3.847 1.373  0.014
H: 2.369 -2.395 3.624  0.003
H: -1.285 -2.128 1.205  0.013
H: 0.502 -3.711 -0.120  0.012
Ru: 1.367 -1.174 0.771  3.075
C: 0.540 -0.862 -0.992  -0.045
H: 0.421 -1.683 -1.715  0.036
H: 0.995 0.017 -1.471  0.011
H: -0.467 -0.625 -0.593  0.041
Si: -1.914 1.058 -2.448  0.009
C: -2.827 2.435 -1.613  0.002
C: -3.355 2.229 -0.323  0.004
H: -3.296 1.241 0.150  -0.001
C: -3.949 3.299 0.360  -0.001
H: -4.387 3.135 1.348  0.000
C: -3.986 4.571 -0.228  0.001
H: -4.442 5.407 0.311  0.000
C: -3.437 4.770 -1.502  0.000
H: -3.485 5.756 -1.962  0.000
C: -2.830 3.710 -2.188  0.001
H: -2.361 3.851 -3.164  0.000
C: -3.134 -0.286 -2.824  0.001
C: -4.502 0.044 -2.901  0.000
H: -4.815 1.091 -2.809  0.000
C: -5.464 -0.964 -3.062  0.000
H: -6.521 -0.693 -3.107  0.000
C: -5.072 -2.304 -3.149  0.000
H: -5.826 -3.088 -3.235  0.000
C: -3.710 -2.630 -3.131  0.000
H: -3.407 -3.673 -3.230  0.000
C: -2.739 -1.630 -2.982  0.001
H: -1.673 -1.878 -2.971  -0.003
H: -1.082 0.786 -1.265  0.004
H: -0.971 1.341 -3.602  0.001
C: 6.823 -2.385 0.506  0.086
C: 5.662 -2.901 -0.086  -0.034
C: 4.457 -2.202 0.007  0.132
C: 4.409 -0.980 0.717  -0.096
C: 5.580 -0.456 1.285  0.088
C: 6.786 -1.155 1.185  -0.039
N: 3.200 -0.294 0.984  0.388
N: 3.361 0.832 1.694  0.424
C: 2.163 1.436 1.991  -0.023
C: 2.113 2.693 2.639  0.099
C: 0.882 3.221 2.977  0.008
C: -0.280 2.456 2.720  0.090
C: -0.163 1.220 2.106  0.012
N: 1.030 0.753 1.660  0.193
H: 7.753 -2.955 0.449  0.005
H: 5.692 -3.853 -0.620  -0.001
H: 3.538 -2.612 -0.426  -0.034
H: 5.508 0.482 1.841  0.020
H: 7.690 -0.743 1.635  -0.002
H: 3.083 3.152 2.815  0.000
H: 0.808 4.212 3.435  0.000
H: -1.272 2.814 2.998  0.006
H: -1.034 0.578 1.944  0.003


2.
A molecular structure, C52H47CdN4O3S4, computed with ωB97M-V/def2-TZVPD.

For the HOMO energy, the calculation gives -10.58 eV. Its multiplicity is 1. For the orbital gap, the calculation gives 8.2 eV. As for the total charge: +1.

Each line ends with the Mulliken charge.
Cartesian coordinates (Å):
Cd: 0.697 -2.317 0.925  3.037
C: 6.486 4.329 -2.244  -1.518
C: 5.295 3.597 -1.692  1.020
C: 5.317 3.048 -0.412  -0.997
C: 4.223 2.359 0.090  -0.576
C: 3.087 2.222 -0.691  0.030
C: 3.048 2.747 -1.975  -0.625
C: 4.146 3.436 -2.464  -0.823
S: 1.684 1.294 -0.088  1.888
O: 2.227 0.478 1.050  -1.467
C: 0.739 2.655 0.635  1.019
C: 1.346 3.506 1.590  -1.112
C: 0.657 4.547 2.121  -1.261
C: -0.666 4.828 1.698  0.621
C: -1.376 5.934 2.220  -0.989
C: -2.630 6.233 1.772  -0.821
C: -3.224 5.438 0.770  -0.825
C: -2.564 4.357 0.258  -0.868
C: -1.269 4.007 0.720  1.357
C: -0.557 2.867 0.216  -0.033
C: -1.217 2.144 -0.921  -1.006
C: -1.032 2.701 -2.223  0.930
C: -0.096 3.745 -2.458  -1.306
C: 0.091 4.246 -3.712  -0.373
C: -0.651 3.748 -4.806  -0.815
C: -1.564 2.754 -4.613  -0.962
C: -1.774 2.206 -3.322  0.775
C: -2.721 1.179 -3.113  -1.300
C: -2.873 0.633 -1.876  -1.412
C: -2.117 1.107 -0.775  1.440
S: -2.208 -0.064 0.573  -0.230
O: -0.892 -0.780 0.466  0.043
C: -2.185 0.924 2.048  0.789
C: -3.167 1.887 2.244  -0.530
C: -3.225 2.552 3.455  -0.560
C: -2.327 2.257 4.480  0.949
C: -2.408 2.982 5.793  -1.683
C: -1.374 1.265 4.265  -0.964
C: -1.299 0.587 3.058  -0.379
H: 7.232 4.512 -1.471  0.366
H: 6.192 5.289 -2.668  0.366
H: 6.961 3.753 -3.040  0.308
H: 6.203 3.164 0.200  0.309
H: 4.245 1.917 1.080  0.531
H: 2.162 2.625 -2.587  0.684
H: 4.114 3.848 -3.465  0.432
H: 2.368 3.328 1.892  0.431
H: 1.123 5.197 2.852  0.388